To do =
Set down only the lines further down with the word "record" in them, please.
Input =
/*
Simulated powder diffraction line list
Compound: Ac2TlI
Radiation: Cu Ka
Structure: a PBE-relaxed structure
No peak broadening, texture or thermal motion is included.

Structure:
abc: 4.932 4.932 23.024
angles: 90.00 90.00 120.00
Sites, in units of the cell vectors:
Ac 0.000 0.000 0.241
Ac 0.000 0.000 0.759
Ac 0.333 0.667 0.426
Ac 0.333 0.667 0.908
Ac 0.667 0.333 0.092
Ac 0.667 0.333 0.574
Tl 0.000 0.000 0.500
Tl 0.333 0.667 0.167
Tl 0.667 0.333 0.833
I 0.000 0.000 0.000
I 0.333 0.667 0.667
I 0.667 0.333 0.333

Top 10 peaks for 5° ≤ 2θ ≤ 70°, by angle:
2θ/deg, Rel. int.
11.53, 8
25.98, 100
36.44, 43
37.69, 35
45.29, 23
53.43, 13
59.47, 21
61.21, 15
65.57, 8
66.40, 14

Simulated powder diffraction line list
Compound: LaSiNi
Radiation: Cu Ka
Structure: a PBE-relaxed structure
No peak broadening, texture or thermal motion is included.

Structure:
abc: 4.184 4.184 14.037
angles: 90.00 90.00 90.00
Sites, in units of the cell vectors:
La 0.000 0.000 0.000
La 0.000 0.500 0.250
La 0.500 0.000 0.750
La 0.500 0.500 0.500
Si 0.000 0.000 0.420
Si 0.000 0.500 0.670
Si 0.500 0.000 0.170
Si 0.500 0.500 0.920
Ni 0.000 0.000 0.589
Ni 0.000 0.500 0.839
Ni 0.500 0.000 0.339
Ni 0.500 0.500 0.089

Top 10 peaks for 5° ≤ 2θ ≤ 70°, by angle:
2θ/deg, Rel. int.
22.17, 13
28.62, 45
32.85, 100
38.62, 46
43.24, 36
50.47, 20
52.68, 16
59.35, 25
62.81, 12
68.59, 15

Simulated powder diffraction line list
Compound: Er7Sn3C2
Radiation: Cu Ka
Structure: a PBE-relaxed structure
No peak broadening, texture or thermal motion is included.

Structure:
abc: 13.095 13.095 13.095
angles: 158.89 158.89 30.03
Sites, in units of the cell vectors:
Er 0.000 0.000 0.000
Er 0.096 0.596 0.500
Er 0.194 0.194 0.000
Er 0.404 0.904 0.500
Er 0.596 0.096 0.500
Er 0.806 0.806 0.000
Er 0.904 0.404 0.500
Sn 0.319 0.319 0.000
Sn 0.500 0.500 0.000
Sn 0.681 0.681 0.000
C 0.097 0.097 0.000
C 0.903 0.903 0.000

Top 10 peaks for 5° ≤ 2θ ≤ 70°, by angle:
2θ/deg, Rel. int.
27.21, 14
29.89, 54
33.91, 100
35.49, 26
37.49, 59
52.57, 34
54.06, 21
65.09, 19
65.36, 31
66.35, 17

Simulated powder diffraction line list
Compound: Tb3HoSc5
Radiation: Cu Ka
Structure: a PBE-relaxed structure
No peak broadening, texture or thermal motion is included.

Structure:
abc: 9.253 9.253 9.253
angles: 126.44 126.44 79.17
Sites, in units of the cell vectors:
Tb 0.119 0.619 0.738
Tb 0.250 0.250 0.000
Tb 0.381 0.119 0.500
Tb 0.619 0.881 0.500
Tb 0.750 0.750 0.000
Tb 0.881 0.381 0.262
Ho 0.250 0.750 0.500
Ho 0.750 0.250 0.500
Sc 0.000 0.000 0.000
Sc 0.072 0.157 0.500
Sc 0.157 0.657 0.085
Sc 0.343 0.428 0.500
Sc 0.428 0.928 0.085
Sc 0.500 0.500 0.000
Sc 0.572 0.072 0.915
Sc 0.657 0.572 0.500
Sc 0.843 0.343 0.915
Sc 0.928 0.843 0.500

Top 10 peaks for 5° ≤ 2θ ≤ 70°, by angle:
2θ/deg, Rel. int.
21.31, 27
24.71, 72
24.97, 45
30.32, 54
30.46, 71
32.87, 29
33.06, 100
39.47, 35
39.78, 26
45.32, 56

Simulated powder diffraction line list
Compound: Pu2CoB10
Radiation: Cu Ka
Structure: a PBE-relaxed structure
No peak broadening, texture or thermal motion is included.

Structure:
abc: 5.559 11.065 4.140
angles: 90.00 90.00 90.00
Sites, in units of the cell vectors:
Pu 0.192 0.137 0.000
Pu 0.308 0.637 0.000
Pu 0.692 0.363 0.000
Pu 0.808 0.863 0.000
Co 0.000 0.500 0.500
Co 0.500 0.000 0.500
B 0.029 0.314 0.500
B 0.128 0.961 0.500
B 0.158 0.802 0.500
B 0.199 0.388 0.199
B 0.199 0.388 0.801
B 0.301 0.888 0.199
B 0.301 0.888 0.801
B 0.342 0.302 0.500
B 0.372 0.461 0.500
B 0.471 0.814 0.500
B 0.529 0.186 0.500
B 0.628 0.539 0.500
B 0.658 0.698 0.500
B 0.699 0.112 0.199
B 0.699 0.112 0.801
B 0.801 0.612 0.199
B 0.801 0.612 0.801
B 0.842 0.198 0.500
B 0.872 0.039 0.500
B 0.971 0.686 0.500

Top 10 peaks for 5° ≤ 2θ ≤ 70°, by angle:
2θ/deg, Rel. int.
21.46, 42
22.68, 82
28.06, 18
31.42, 100
32.36, 20
39.03, 27
39.16, 41
39.91, 17
43.73, 16
49.83, 37

=====

Diffraction record for OsC3IO3. The powder diffraction line list is theoretical, not measured: it uses a structure optimized by DFT (GGA-PBE) and a wavelength of 1.5418 Å.
*/
Worked solution =
Diffraction record for OsC3IO3. The powder diffraction line list is theoretical, not measured: it uses a structure optimized by DFT (GGA-PBE) and a wavelength of 1.5418 Å.